No. 1
For Dy2Ga5Ru2Rh, the PBE geometry in Alexandria gives the simulated powder XRD pattern in this record (Cu Ka).

```
Dy2Ga5Ru2Rh
1.0
10.5103 0.0000 0.0000
0.0000 10.5103 0.0000
0.0000 0.0000 3.1837
Dy Ga Ru Rh
4 10 4 2
direct
0.1819 0.3181 0.0000
0.3181 0.8181 0.0000
0.6819 0.1819 0.0000
0.8181 0.6819 0.0000
0.0000 0.5000 0.5000
0.0538 0.8092 0.5000
0.1908 0.0538 0.5000
0.3092 0.5538 0.5000
0.4462 0.3092 0.5000
0.5000 0.0000 0.5000
0.5538 0.6908 0.5000
0.6908 0.4462 0.5000
0.8092 0.9462 0.5000
0.9462 0.1908 0.5000
0.1288 0.6288 0.0000
0.3712 0.1288 0.0000
0.6288 0.8712 0.0000
0.8712 0.3712 0.0000
0.0000 0.0000 0.0000
0.5000 0.5000 0.0000
```

Most intense lines, 15° ≤ 2θ ≤ 90°, by angle:
- 2θ 26.82, rel. 155
- 2θ 32.89, rel. 116
- 2θ 35.21, rel. 538
- 2θ 36.26, rel. 322
- 2θ 37.19, rel. 256
- 2θ 39.18, rel. 1000
- 2θ 42.03, rel. 339
- 2θ 52.20, rel. 150
- 2θ 57.93, rel. 150
- 2θ 58.90, rel. 107
- 2θ 61.01, rel. 157
- 2θ 69.64, rel. 145

=====

No. 2
For Dy2GaSn2Rh5, the PBE geometry in Alexandria gives the simulated powder XRD pattern in this record (Cu Ka).

```
Dy2GaSn2Rh5
1.0
10.6481 0.0000 0.0000
0.0000 10.6481 0.0000
0.0000 0.0000 3.2621
Dy Ga Sn Rh
4 2 4 10
direct
0.1641 0.3359 0.0000
0.3359 0.8359 0.0000
0.6641 0.1641 0.0000
0.8359 0.6641 0.0000
0.0000 0.0000 0.0000
0.5000 0.5000 0.0000
0.1391 0.6391 0.0000
0.3609 0.1391 0.0000
0.6391 0.8609 0.0000
0.8609 0.3609 0.0000
0.0000 0.5000 0.5000
0.0310 0.8050 0.5000
0.1950 0.0310 0.5000
0.3050 0.5310 0.5000
0.4690 0.3050 0.5000
0.5000 0.0000 0.5000
0.5310 0.6950 0.5000
0.6950 0.4690 0.5000
0.8050 0.9690 0.5000
0.9690 0.1950 0.5000
```

Most intense lines, 15° ≤ 2θ ≤ 90°, by angle:
- 2θ 32.18, rel. 151
- 2θ 34.74, rel. 217
- 2θ 35.78, rel. 598
- 2θ 36.44, rel. 196
- 2θ 38.42, rel. 1000
- 2θ 41.23, rel. 112
- 2θ 43.90, rel. 379
- 2θ 51.49, rel. 195
- 2θ 56.42, rel. 179
- 2θ 68.62, rel. 185
- 2θ 73.72, rel. 237
- 2θ 79.88, rel. 118

=====

No. 3
For Dy2Ga9Ru3, the PBE geometry in Alexandria gives the simulated powder XRD pattern in this record (Cu Ka).

```
Dy2Ga9Ru3
1.0
6.4515 -3.7838 0.0000
6.4515 3.7838 0.0000
0.0000 0.0000 9.7161
Dy Ga Ru
4 18 6
direct
0.0019 0.6746 0.7500
0.3254 0.9981 0.7500
0.6746 0.0019 0.2500
0.9981 0.3254 0.2500
0.0087 0.6627 0.0765
0.0087 0.6627 0.4235
0.1320 0.8680 0.2500
0.3373 0.9913 0.0765
0.3373 0.9913 0.4235
0.3381 0.6619 0.5617
0.3381 0.6619 0.9383
0.3391 0.4458 0.2500
0.4458 0.3391 0.7500
0.5542 0.6609 0.2500
0.6609 0.5542 0.7500
0.6619 0.3381 0.0617
0.6619 0.3381 0.4383
0.6627 0.0087 0.5765
0.6627 0.0087 0.9235
0.8680 0.1320 0.7500
0.9913 0.3373 0.5765
0.9913 0.3373 0.9235
0.0000 0.0000 0.0000
0.0000 0.0000 0.5000
0.3237 0.3237 0.0000
0.3237 0.3237 0.5000
0.6763 0.6763 0.0000
0.6763 0.6763 0.5000
```

Most intense lines, 15° ≤ 2θ ≤ 90°, by angle:
- 2θ 30.16, rel. 183
- 2θ 36.52, rel. 470
- 2θ 36.71, rel. 1000
- 2θ 37.01, rel. 290
- 2θ 37.80, rel. 192
- 2θ 40.91, rel. 157
- 2θ 41.38, rel. 148
- 2θ 41.50, rel. 801
- 2θ 42.01, rel. 383
- 2θ 56.84, rel. 356
- 2θ 72.33, rel. 161
- 2θ 72.68, rel. 165

=====

No. 4
For Dy4Ga12Ru, the PBE geometry in Alexandria gives the simulated powder XRD pattern in this record (Cu Ka).

```
Dy4Ga12Ru
1.0
-4.3083 4.3083 4.3083
4.3083 -4.3083 4.3083
4.3083 4.3083 -4.3083
Dy Ga Ru
4 12 1
direct
0.0000 0.0000 0.5000
0.0000 0.5000 0.0000
0.5000 0.0000 0.0000
0.5000 0.5000 0.5000
0.0000 0.2904 0.2904
0.0000 0.7096 0.7096
0.2500 0.5000 0.7500
0.2500 0.7500 0.5000
0.2904 0.0000 0.2904
0.2904 0.2904 0.0000
0.5000 0.2500 0.7500
0.5000 0.7500 0.2500
0.7096 0.0000 0.7096
0.7096 0.7096 0.0000
0.7500 0.2500 0.5000
0.7500 0.5000 0.2500
0.0000 0.0000 0.0000
```

Most intense lines, 15° ≤ 2θ ≤ 90°, by angle:
- 2θ 20.62, rel. 80
- 2θ 29.32, rel. 330
- 2θ 36.11, rel. 1000
- 2θ 39.12, rel. 89
- 2θ 41.94, rel. 642
- 2θ 49.62, rel. 67
- 2θ 51.99, rel. 101
- 2θ 60.81, rel. 384
- 2θ 68.92, rel. 91
- 2θ 72.81, rel. 312
- 2θ 76.61, rel. 117
- 2θ 84.06, rel. 86

=====

No. 5

Next, type out everything further up verbatim.

No. 1
For Dy2Ga5Ru2Rh, the PBE geometry in Alexandria gives the simulated powder XRD pattern in this record (Cu Ka).

```
Dy2Ga5Ru2Rh
1.0
10.5103 0.0000 0.0000
0.0000 10.5103 0.0000
0.0000 0.0000 3.1837
Dy Ga Ru Rh
4 10 4 2
direct
0.1819 0.3181 0.0000
0.3181 0.8181 0.0000
0.6819 0.1819 0.0000
0.8181 0.6819 0.0000
0.0000 0.5000 0.5000
0.0538 0.8092 0.5000
0.1908 0.0538 0.5000
0.3092 0.5538 0.5000
0.4462 0.3092 0.5000
0.5000 0.0000 0.5000
0.5538 0.6908 0.5000
0.6908 0.4462 0.5000
0.8092 0.9462 0.5000
0.9462 0.1908 0.5000
0.1288 0.6288 0.0000
0.3712 0.1288 0.0000
0.6288 0.8712 0.0000
0.8712 0.3712 0.0000
0.0000 0.0000 0.0000
0.5000 0.5000 0.0000
```

Most intense lines, 15° ≤ 2θ ≤ 90°, by angle:
- 2θ 26.82, rel. 155
- 2θ 32.89, rel. 116
- 2θ 35.21, rel. 538
- 2θ 36.26, rel. 322
- 2θ 37.19, rel. 256
- 2θ 39.18, rel. 1000
- 2θ 42.03, rel. 339
- 2θ 52.20, rel. 150
- 2θ 57.93, rel. 150
- 2θ 58.90, rel. 107
- 2θ 61.01, rel. 157
- 2θ 69.64, rel. 145

=====

No. 2
For Dy2GaSn2Rh5, the PBE geometry in Alexandria gives the simulated powder XRD pattern in this record (Cu Ka).

```
Dy2GaSn2Rh5
1.0
10.6481 0.0000 0.0000
0.0000 10.6481 0.0000
0.0000 0.0000 3.2621
Dy Ga Sn Rh
4 2 4 10
direct
0.1641 0.3359 0.0000
0.3359 0.8359 0.0000
0.6641 0.1641 0.0000
0.8359 0.6641 0.0000
0.0000 0.0000 0.0000
0.5000 0.5000 0.0000
0.1391 0.6391 0.0000
0.3609 0.1391 0.0000
0.6391 0.8609 0.0000
0.8609 0.3609 0.0000
0.0000 0.5000 0.5000
0.0310 0.8050 0.5000
0.1950 0.0310 0.5000
0.3050 0.5310 0.5000
0.4690 0.3050 0.5000
0.5000 0.0000 0.5000
0.5310 0.6950 0.5000
0.6950 0.4690 0.5000
0.8050 0.9690 0.5000
0.9690 0.1950 0.5000
```

Most intense lines, 15° ≤ 2θ ≤ 90°, by angle:
- 2θ 32.18, rel. 151
- 2θ 34.74, rel. 217
- 2θ 35.78, rel. 598
- 2θ 36.44, rel. 196
- 2θ 38.42, rel. 1000
- 2θ 41.23, rel. 112
- 2θ 43.90, rel. 379
- 2θ 51.49, rel. 195
- 2θ 56.42, rel. 179
- 2θ 68.62, rel. 185
- 2θ 73.72, rel. 237
- 2θ 79.88, rel. 118

=====

No. 3
For Dy2Ga9Ru3, the PBE geometry in Alexandria gives the simulated powder XRD pattern in this record (Cu Ka).

```
Dy2Ga9Ru3
1.0
6.4515 -3.7838 0.0000
6.4515 3.7838 0.0000
0.0000 0.0000 9.7161
Dy Ga Ru
4 18 6
direct
0.0019 0.6746 0.7500
0.3254 0.9981 0.7500
0.6746 0.0019 0.2500
0.9981 0.3254 0.2500
0.0087 0.6627 0.0765
0.0087 0.6627 0.4235
0.1320 0.8680 0.2500
0.3373 0.9913 0.0765
0.3373 0.9913 0.4235
0.3381 0.6619 0.5617
0.3381 0.6619 0.9383
0.3391 0.4458 0.2500
0.4458 0.3391 0.7500
0.5542 0.6609 0.2500
0.6609 0.5542 0.7500
0.6619 0.3381 0.0617
0.6619 0.3381 0.4383
0.6627 0.0087 0.5765
0.6627 0.0087 0.9235
0.8680 0.1320 0.7500
0.9913 0.3373 0.5765
0.9913 0.3373 0.9235
0.0000 0.0000 0.0000
0.0000 0.0000 0.5000
0.3237 0.3237 0.0000
0.3237 0.3237 0.5000
0.6763 0.6763 0.0000
0.6763 0.6763 0.5000
```

Most intense lines, 15° ≤ 2θ ≤ 90°, by angle:
- 2θ 30.16, rel. 183
- 2θ 36.52, rel. 470
- 2θ 36.71, rel. 1000
- 2θ 37.01, rel. 290
- 2θ 37.80, rel. 192
- 2θ 40.91, rel. 157
- 2θ 41.38, rel. 148
- 2θ 41.50, rel. 801
- 2θ 42.01, rel. 383
- 2θ 56.84, rel. 356
- 2θ 72.33, rel. 161
- 2θ 72.68, rel. 165

=====

No. 4
For Dy4Ga12Ru, the PBE geometry in Alexandria gives the simulated powder XRD pattern in this record (Cu Ka).

```
Dy4Ga12Ru
1.0
-4.3083 4.3083 4.3083
4.3083 -4.3083 4.3083
4.3083 4.3083 -4.3083
Dy Ga Ru
4 12 1
direct
0.0000 0.0000 0.5000
0.0000 0.5000 0.0000
0.5000 0.0000 0.0000
0.5000 0.5000 0.5000
0.0000 0.2904 0.2904
0.0000 0.7096 0.7096
0.2500 0.5000 0.7500
0.2500 0.7500 0.5000
0.2904 0.0000 0.2904
0.2904 0.2904 0.0000
0.5000 0.2500 0.7500
0.5000 0.7500 0.2500
0.7096 0.0000 0.7096
0.7096 0.7096 0.0000
0.7500 0.2500 0.5000
0.7500 0.5000 0.2500
0.0000 0.0000 0.0000
```

Most intense lines, 15° ≤ 2θ ≤ 90°, by angle:
- 2θ 20.62, rel. 80
- 2θ 29.32, rel. 330
- 2θ 36.11, rel. 1000
- 2θ 39.12, rel. 89
- 2θ 41.94, rel. 642
- 2θ 49.62, rel. 67
- 2θ 51.99, rel. 101
- 2θ 60.81, rel. 384
- 2θ 68.92, rel. 91
- 2θ 72.81, rel. 312
- 2θ 76.61, rel. 117
- 2θ 84.06, rel. 86

=====

No. 5